I love love LOVE learning what people have learned in their years of life. It’s just incredible how different (yet similar somehow) that people’s stories are. It makes me want to ask literally every single human to tell me what their life take-aways are. I think maybe I just might…
Today’s wisdom comes to you from Ashley Boyd, the sister of Brent (my brother in-soul-law) and a third of the #NYEinNYC trio. Ashley is a complete and total adventurer. She has traveled the world wide, and when Rach and I asked if she wanted in on NYC, she said yes within minutes of us asking. #ADVENTURER
Attached: crystal structures:
# GGA-PBE AlSbS2, relaxed
data_AlSbS2
_cell_length_a 4.7392
_cell_length_b 4.7392
_cell_length_c 3.3495
_cell_angle_alpha 90.00
_cell_angle_beta 90.00
_cell_angle_gamma 90.00
_symmetry_space_group_name_H-M 'P 4/m m m'
_symmetry_Int_Tables_number 123
_symmetry_space_group_name_Hall '-P 4 2'
loop_
_atom_site_label
_atom_site_type_symbol
_atom_site_fract_x
_atom_site_fract_y
_atom_site_fract_z
Al1 Al 0.0000 0.0000 0.0000
Sb1 Sb 0.5000 0.5000 0.0000
S1 S 0.0000 0.5000 0.5000
# Size of the total moment   0.0 μB per formula unit
# ΔE_f (raw)   84 meV/atom
# Total DFT energy (no corrections)   -15.8 eV per cell

* * * * *

This record from Alexandria via LeMat-Bulk describes a relaxed structure of Na2Ca3RuO6. The functional is PBE-GGA.

```
data_Na2Ca3RuO6
_chemical_formula_sum 'Na4 Ca6 Ru2 O12'
_symmetry_space_group_name_H-M 'C 1 2/m 1'
_symmetry_Int_Tables_number 12
_cell_length_a 5.8606
_cell_length_b 10.1030
_cell_length_c 5.5605
_cell_angle_alpha 90.00
_cell_angle_beta 111.35
_cell_angle_gamma 90.00
loop_
_symmetry_equiv_pos_as_xyz
'x,y,z'
'-x,-y,-z'
'-x,y,-z'
'x,-y,z'
'x+1/2,y+1/2,z'
'-x+1/2,-y+1/2,-z'
'-x+1/2,y+1/2,-z'
'x+1/2,-y+1/2,z'
loop_
_atom_site_label
_atom_site_fract_x
_atom_site_fract_y
_atom_site_fract_z
Na1 0.0000 0.1683 0.0000
Ca1 0.0000 0.0000 0.5000
Ca2 0.0000 0.3288 0.5000
Ru1 0.0000 0.5000 0.0000
O1 0.2073 0.5000 0.7753
O2 0.2295 0.3497 0.2443
```

Values from the calculation:
D(E_F)   3.333 states/eV/f.u.
Energy relative to the elements, uncorrected   -2064 meV/atom

* * * * *

Density functional theory data (PBE) for a geometry-optimized MnFeCu3 structure.

Properties
E_tot = -4.929 eV per atom
energy relative to the elements = 1.055 eV per atom

abc: 4.407 4.407 4.407
angles: 90.00 90.00 90.00
Space group Pm-3m (No. 221)
Unique sites:
1 Mn 0.000 0.000 0.000
2 Fe 0.500 0.500 0.500
3 Cu 0.000 0.500 0.500

---

Density functional theory data (PBE) for a geometry-optimized Mn2FeCu2 structure.

Properties
E_tot = -6.379 eV per atom
energy relative to the elements = 0.620 eV per atom

abc: 3.361 3.361 11.353
angles: 90.00 90.00 90.00
Space group I4/mmm (No. 139)
Unique sites:
1 Mn 0.000 0.000 0.087
2 Fe 0.000 0.000 0.500
3 Cu 0.000 0.500 0.250

---

Density functional theory data (PBE) for a geometry-optimized MnFe4Cu structure.

Properties
E_tot = -7.598 eV per atom
energy relative to the elements = 0.255 eV per atom

abc: 6.662 6.662 6.662
angles: 90.00 90.00 90.00
Space group F-43m (No. 216)
Unique sites:
1 Mn 0.000 0.000 0.000
2 Fe 0.125 0.125 0.375
3 Cu 0.250 0.250 0.750

---

Density functional theory data (PBE) for a geometry-optimized Mn2FeCu2 structure.

Properties
E_tot = -6.298 eV per atom
energy relative to the elements = 0.701 eV per atom

abc: 6.525 6.525 2.808
angles: 90.00 90.00 90.00
Space group P4/mbm (No. 127)
Unique sites:
1 Mn 0.106 0.394 0.000
2 Fe 0.000 0.000 0.000
3 Cu 0.190 0.690 0.500

---

Density functional theory data (PBE) for a geometry-optimized Mn2FeCuN structure.

Properties
End of the crystal structures:
I’ve known Ashley for about as I’ve known her brother and if I know one thing about her, it’s that she’s loves her family, and she loves her friends. Okay, that’s two things. Ashley’s lessons learned are such a great reminder to me that relationships matter, and they matter infinitely. And on a less infinite yet very practical sense, so does getting my oil changed.
1. Live loved. Fight to receive love, it's different and often harder than giving love.
Records of crystals from another source follow =
'''
[1]
Rb3Ce2PaSe6 | PBE-GGA | optimized geometry

Lattice parameters (Å, degrees): 7.519 7.519 8.432 98.55 98.55 119.99
Site moments in Bohr magnetons follow the coordinates.
Element x y z (fractional)
Se (0.610, 0.933, 0.800)  -0.03
Se (0.933, 0.610, 0.800)  -0.03
Se (0.744, 0.744, 0.201)  -0.03
Se (0.256, 0.256, 0.799)  -0.03
Se (0.067, 0.390, 0.200)  -0.03
Se (0.390, 0.067, 0.200)  -0.03
Rb (0.169, 0.831, 0.500)  0.00
Rb (0.500, 0.500, 0.500)  0.00
Rb (0.831, 0.169, 0.500)  0.00
Ce (0.334, 0.666, 0.000)  1.09
Ce (0.666, 0.334, 0.000)  1.09
Pa (0.000, 0.000, 0.000)  1.26

## Properties
Energy relative to the elements, uncorrected (eV per atom): -1.54
SG: C2/m, No. 12
Spin magnetization (μB per formula unit): 4.03
Raw total energy (Ha/atom): -0.195



[2]
La2Nd4Ge3O2 | PBE-GGA | optimized geometry

Lattice parameters (Å, degrees): 4.759 4.759 12.904 100.63 100.63 90.00
Element x y z (fractional)
Nd (0.579, 0.079, 0.157)
Nd (0.079, 0.579, 0.157)
Nd (0.921, 0.421, 0.843)
Nd (0.421, 0.921, 0.843)
La (0.697, 0.697, 0.394)
La (0.303, 0.303, 0.606)
Ge (0.174, 0.174, 0.347)
Ge (0.000, 0.000, 0.000)
Ge (0.826, 0.826, 0.653)
O (0.601, 0.601, 0.203)
O (0.399, 0.399, 0.797)

## Properties
Energy relative to the elements, uncorrected (eV per atom): -1.51
SG: I4/mmm, No. 139
Spin magnetization (μB per formula unit): 0.00
Raw total energy (Ha/atom): -0.232



[3]
Te2RuAuI | PBE-GGA | optimized geometry

Lattice parameters (Å, degrees): 5.101 5.101 5.670 90.00 90.00 90.00
Element x y z (fractional)
I (0.000, 0.000, 0.500)
Ru (0.000, 0.000, 0.000)
Te (0.500, 0.000, 0.000)
Te (0.000, 0.500, 0.000)
Au (0.500, 0.500, 0.500)

## Properties
Energy relative to the elements, uncorrected (eV per atom): 0.63
SG: P4/mmm, No. 123
Spin magnetization (μB per formula unit): 0.00
Polymorph energy (0 for the lowest one) (eV/f.u.): 0.000
Raw total energy (Ha/atom): -0.127



[4]
In3AgW | PBE-GGA | optimized geometry

Lattice parameters (Å, degrees): 5.202 5.202 5.202 90.00 90.00 90.00
Site moments in Bohr magnetons follow the coordinates.
Element x y z (fractional)
In (0.000, 0.500, 0.000)  -0.03
In (0.500, 0.000, 0.000)  -0.01
In (0.000, 0.000, 0.500)  -0.05
Ag (0.000, 0.000, 0.000)  -0.01
W (0.500, 0.500, 0.500)  2.98

## Properties
SG: Pm-3m, No. 221
Spin magnetization (μB per formula unit): 3.78
Polymorph energy (0 for the lowest one) (eV/f.u.): 2.465
Formation enthalpy at 0 K (eV per atom): 1.356
Raw total energy (Ha/atom): -0.127

~~~~~

[1]
Density functional theory data (PBE-GGA) for an optimized crystal structure of SrSN.

Results
* crystal system: trigonal
* energy above the lowest structure with this stoichiometry: 831 meV/atom
* E_form (uncorrected): -143 kJ/mol of formula units

a b c (Å): 4.1985 4.1985 26.1063
angles (deg): 90.00 90.00 120.00
Last column: nearest neighbours and their distance in Å.
Space group R3m (No. 160, hexagonal axes)
One atom of each set of equivalent atoms:
Sr (0.0000, 0.0000, 0.0000) x3  1 N 2.46
'''
2. Laughter is truly and hugely important.
3. There ARE such things as stupid questions, and in some cases you shouldn't ask them.
4. On the flip side, asking good questions is an art form. (My closest friends ask the best questions).
5. Moving your body will always make you feel better, especially when all you want to do is take a nap.
6. Genuinely, the joy of the Lord is my strength.
7. Comparison actually is the thief of joy.
8. ALWAYS put your phone down at dinner, even when eating by yourself.
9. Don't start dating someone during your first semester of college.
10. It's ok, to not be OK. Give yourself grace and allow yourself to feel.
11. Basing decisions solely off feelings is not always wise. Facts matter.
12. Being intentional with friends and/or strangers is ALWAYS worth it, even if it feels exhausting.
13. Be well prepared for EVERY interview.
14. People do strange things.
15. Worship unashamedly.
16. It's crucial to forever remain teachable.
17. Handwritten thank you notes are extremely powerful.
17. Fight long and hard for important relationships.
18. Pain is never meaningless.
19. Time heals, but God both heals and restores.
20. Harboring anger or unforgiveness is exhausting.
21. Heartache is a horrible kind of pain. Sometimes the simple acknowledgment from others that heartache sucks, is all that is needed.
== Misplaced materials data ==
~~~
# NaTl6Te5

NaTl6Te5 after structural relaxation (PBE, Alexandria).

Lattice parameters (Å, degrees): 7.1047 7.1047 8.5746 91.70 91.70 93.96
Closest atoms and distances in Å follow each position.
Sites, in units of the cell vectors:
Na 0.0000 0.0000 0.0000  2 Te 3.01
Tl 0.1019 0.4683 0.2757  4 Te 3.23-3.47, 1 Tl 3.50
Tl 0.3174 0.3174 0.8032  3 Te 3.21-3.24, 2 Tl 3.50, 1 Na 3.57
Tl 0.4683 0.1019 0.2757  4 Te 3.23-3.47, 1 Tl 3.50
Tl 0.5317 0.8981 0.7243  4 Te 3.23-3.47, 1 Tl 3.50
Tl 0.6826 0.6826 0.1968  3 Te 3.21-3.24, 2 Tl 3.50, 1 Na 3.57
Tl 0.8981 0.5317 0.7243  4 Te 3.23-3.47, 1 Tl 3.50
Te 0.1343 0.8657 0.5000  1 Te 2.79
Te 0.2898 0.7102 0.0000  1 Na 3.01, 4 Tl 3.23-3.24
Te 0.5000 0.5000 0.5000  6 Tl 3.21-3.36
Te 0.7102 0.2898 0.0000  1 Na 3.01, 4 Tl 3.23-3.24
Te 0.8657 0.1343 0.5000  1 Te 2.79

Summary:
Formation energy from raw total energies = -0.261 eV per atom
Space group = No. 12
ρ = 7.26 g/cm3
DOS at the Fermi energy = 0.318 states/eV per atom


Record 1
A geometry-optimized SrHf3Si structure. Source: the Alexandria database, functional GGA-PBE.

abc: 5.084 5.084 5.084
angles: 90.00 90.00 90.00
Positions (direct):
1 Sr 0.000 0.000 0.000
2 Hf 0.000 0.000 0.500
3 Hf 0.000 0.500 0.000
4 Hf 0.500 0.000 0.000
5 Si 0.500 0.500 0.500

Computed properties:
* energy relative to the elements, uncorrected: 2.29 eV per atom



Record 2
A geometry-optimized Pt2I6Cl structure. Source: the Alexandria database, functional GGA-PBE.

abc: 8.001 8.001 11.112
angles: 94.57 94.57 29.23
Positions (direct):
1 Pt 0.241 0.241 0.160
2 Pt 0.759 0.759 0.840
3 I 0.126 0.126 0.329
4 I 0.171 0.171 0.721
5 I 0.351 0.351 0.967
6 I 0.649 0.649 0.033
7 I 0.829 0.829 0.279
8 I 0.874 0.874 0.671
9 Cl 0.000 0.000 0.500

Computed properties:
* energy relative to the elements, uncorrected: -0.05 eV per atom



Record 3
A geometry-optimized CdReRu2 structure. Source: the Alexandria database, functional GGA-PBE.

abc: 2.770 4.029 5.665
angles: 90.00 90.00 90.00
Positions (direct):
1 Cd 0.000 0.000 0.000
2 Re 0.500 0.500 0.305
3 Ru 0.000 0.000 0.493
4 Ru 0.500 0.500 0.740

Computed properties:
* energy relative to the elements: 0.384 eV/atom



Record 4
A geometry-optimized Ca3MgTl structure. Source: the Alexandria database, functional GGA-PBE.

abc: 5.994 5.994 5.994
angles: 90.00 90.00 90.00
Positions (direct):
1 Ca 0.000 0.000 0.500
2 Ca 0.000 0.500 0.000
3 Ca 0.500 0.000 0.000
4 Mg 0.500 0.500 0.500
5 Tl 0.000 0.000 0.000

Computed properties:
* energy relative to the elements: 0.105 eV/atom



Record 5
A geometry-optimized BAuF2 structure. Source: the Alexandria database, functional GGA-PBE.

abc: 4.150 4.150 4.150
angles: 60.00 60.00 60.00
Positions (direct):
1 B 0.000 0.000 0.000
2 Au 0.500 0.500 0.500
3 F 0.250 0.250 0.250
4 F 0.750 0.750 0.750

Computed properties:
* energy relative to the elements, uncorrected: 0.37 eV per atom



Record 6
A geometry-optimized AcMgAl2Pt2 structure. Source: the Alexandria database, functional GGA-PBE.

abc: 4.440 4.440 7.324
~~~
== End of the materials data ==
22. Travel when possible. Getting to know the locals and their culture is one of the greatest gifts in traveling.
23. Getting your oil changed in time matters.
24. Traveling long distances to see loved ones is worth the sacrifices made to get there.
25. Your body actually starts to hurt more, the older you get. Adults weren't lying!
PS. The pic above is of Ashley, the horse whisperer, working out at a ranch in Colorado. No big.